Wanted:
Now type out only the lines below with the word "Alexandria" in them.

Given:
1.
# CaTlIO6
Computed powder XRD pattern, copper Kα. Input: a crystal structure in Alexandria, relaxed with GGA-PBE.
No peak broadening, texture or thermal motion is included.

Principal peaks in the range 10 to 90 degrees two-theta, most intense first:
hkl 1 0 2, 25.97 deg, intensity 100
hkl 0 0 2, 18.14 deg, intensity 81
hkl 1 1 2, 37.21 deg, intensity 74
hkl 1 1 0, 32.21 deg, intensity 69
hkl 1 1 4, 49.66 deg, intensity 64
hkl 1 0 0, 18.43 deg, intensity 44
hkl 2 0 2, 41.83 deg, intensity 26
hkl 2 1 2, 53.76 deg, intensity 26
hkl 3 0 0, 57.43 deg, intensity 23
hkl 3 0 2, 60.75 deg, intensity 19

Structure:
a = 5.5583 Å, b = 5.5583 Å, c = 9.7819 Å
α = 90.00°, β = 90.00°, γ = 120.00°
Space group P-31c (No. 163)
Inequivalent atoms, fractional coordinates:
1 Ca 0.0000 0.0000 0.0000 (multiplicity 2)
2 Tl 0.3333 0.6667 0.2500 (multiplicity 2)
3 I 0.3333 0.6667 0.7500 (multiplicity 2)
4 O 0.0499 0.3867 0.6374 (multiplicity 12)

---

2.
# Nd11In9Cu4
Computed powder XRD pattern, copper Kα. Input: a crystal structure in Alexandria, relaxed with GGA-PBE.
No peak broadening, texture or thermal motion is included.

Principal peaks in the range 10 to 90 degrees two-theta, most intense first:
hkl 0 6 1, 33.53 deg, intensity 100
hkl 4 6 0, 34.02 deg, intensity 39
hkl 0 0 2, 47.42 deg, intensity 16
hkl 4 6 2, 59.63 deg, intensity 16
hkl 3 3 1, 31.83 deg, intensity 14
hkl 3 5 1, 35.72 deg, intensity 13
hkl 6 2 0, 37.09 deg, intensity 12
hkl 1 9 0, 36.63 deg, intensity 11
hkl 2 4 1, 30.71 deg, intensity 11
hkl 1 5 1, 31.30 deg, intensity 11

Structure:
a = 14.8964 Å, b = 22.3832 Å, c = 3.8343 Å
α = 90.00°, β = 90.00°, γ = 90.00°
Space group Cmmm (No. 65)
Inequivalent atoms, fractional coordinates:
1 Nd 0.0000 0.0000 0.0000 (multiplicity 2)
2 Nd 0.0000 0.1626 0.0000 (multiplicity 4)
3 Nd 0.0000 0.3731 0.0000 (multiplicity 4)
4 Nd 0.1912 0.5000 0.0000 (multiplicity 4)
5 Nd 0.2410 0.1723 0.0000 (multiplicity 8)
6 In 0.0000 0.5000 0.5000 (multiplicity 2)
7 In 0.1037 0.2655 0.5000 (multiplicity 8)
8 In 0.1480 0.0708 0.5000 (multiplicity 8)
9 Cu 0.1519 0.3993 0.5000 (multiplicity 8)

---

3.
# DyAgF4
Computed powder XRD pattern, copper Kα. Input: a crystal structure in Alexandria, relaxed with GGA-PBE.
No peak broadening, texture or thermal motion is included.

Principal peaks in the range 10 to 90 degrees two-theta, most intense first:
hkl 2 0 0, 23.76 deg, intensity 100
hkl 1 1 2, 28.89 deg, intensity 97
hkl 3 1 2, 45.08 deg, intensity 76
hkl 3 3 2, 57.54 deg, intensity 22
hkl 2 2 0, 33.85 deg, intensity 22
hkl 2 0 4, 54.05 deg, intensity 19
hkl 4 0 0, 48.62 deg, intensity 19
hkl 4 2 0, 54.81 deg, intensity 17
hkl 5 1 2, 68.46 deg, intensity 14
hkl 4 2 4, 75.64 deg, intensity 13

Structure:
a = 7.4908 Å, b = 7.4908 Å, c = 7.6118 Å
α = 90.00°, β = 90.00°, γ = 90.00°
Space group I4_1md (No. 109)
Inequivalent atoms, fractional coordinates:
1 Dy 0.0000 0.0000 0.0000 (multiplicity 4)
2 Ag 0.0000 0.0000 0.5158 (multiplicity 4)
3 F 0.0000 0.1992 0.7983 (multiplicity 8)
4 F 0.0000 0.2034 0.2182 (multiplicity 8)

---

4.
# Ca2LaNbN4
Computed powder XRD pattern, copper Kα. Input: a crystal structure in Alexandria, relaxed with GGA-PBE.
No peak broadening, texture or thermal motion is included.

Principal peaks in the range 10 to 90 degrees two-theta, most intense first:
hkl 2 2 0, 36.99 deg, intensity 100
hkl 0 2 2, 31.39 deg, intensity 82
hkl 2 0 2, 31.96 deg, intensity 77
hkl 2 2 4, 52.74 deg, intensity 64
hkl 1 0 1, 15.82 deg, intensity 51
hkl 0 0 4, 36.23 deg, intensity 51
hkl 0 1 1, 15.55 deg, intensity 28
hkl 2 4 2, 62.85 deg, intensity 24
hkl 1 2 1, 30.22 deg, intensity 22
hkl 4 2 2, 63.86 deg, intensity 22

Structure:
a = 6.7859 Å, b = 6.9649 Å, c = 9.9176 Å
α = 90.00°, β = 90.00°, γ = 90.00°
Space group Imma (No. 74)
Inequivalent atoms, fractional coordinates:
1 Ca 0.0000 0.0000 0.0000 (multiplicity 4)
2 Ca 0.2500 0.2500 0.2500 (multiplicity 4)
3 La 0.0000 0.0000 0.5000 (multiplicity 4)
4 Nb 0.2500 0.2500 0.7500 (multiplicity 4)

Worked solution:
Computed powder XRD pattern, copper Kα. Input: a crystal structure in Alexandria, relaxed with GGA-PBE.
Computed powder XRD pattern, copper Kα. Input: a crystal structure in Alexandria, relaxed with GGA-PBE.
Computed powder XRD pattern, copper Kα. Input: a crystal structure in Alexandria, relaxed with GGA-PBE.
Computed powder XRD pattern, copper Kα. Input: a crystal structure in Alexandria, relaxed with GGA-PBE.